2017 Session

Budget Bill - SB900 (Introduced)

View Item amendments

Virginia Information Technologies Agency

Here the article breaks off for records of crystals =
........
1.
Crystalline Hf2N2O at its relaxed geometry, computed with r²SCAN.

abc: 8.6667 8.6717 8.6756
angles: 109.49 109.45 109.39
Last column: nearest neighbours and their distance in Å.
Positions (direct):
Hf  0.2806  0.5378  0.7500  5 N 2.11-2.26, 1 O 2.20
Hf  0.0015  0.0109  0.5099  4 N 2.08-2.22, 2 O 2.25-2.27
Hf  0.2503  0.7854  0.5408  3 N 2.09-2.21, 3 O 2.11-2.17
Hf  0.4913  0.9960  0.0032  4 N 2.09-2.16, 2 O 2.19-2.23
Hf  0.9886  0.4819  0.9914  4 N 2.08-2.16, 2 O 2.24-2.29
Hf  0.2234  0.9666  0.2580  2 N 2.06-2.08, 4 O 2.11-2.21
Hf  0.9636  0.7476  0.7146  4 N 2.12-2.22, 2 O 2.12-2.23
Hf  0.7503  0.2137  0.4712  5 N 2.09-2.21, 1 O 2.28
Hf  0.0425  0.2607  0.2911  3 N 2.09-2.17, 3 O 2.12-2.20
Hf  0.4679  0.7494  0.2106  5 N 2.11-2.23, 1 O 2.22
Hf  0.7907  0.0306  0.7478  5 N 2.11-2.24, 1 O 2.19
Hf  0.5118  0.5115  0.5008  4 N 2.08-2.20, 2 O 2.24
Hf  0.7458  0.7158  0.9671  3 N 2.05-2.13, 3 O 2.11-2.27
Hf  0.7031  0.4602  0.2413  4 N 2.10-2.21, 2 O 2.20-2.21
Hf  0.2480  0.2895  0.0298  5 N 2.10-2.20, 1 O 2.27
Hf  0.5339  0.2495  0.7859  2 O 2.11-2.22, 4 N 2.12-2.26
O  0.5323  0.9858  0.7598  4 Hf 2.12-2.23
O  0.9687  0.7260  0.4536  4 Hf 2.11-2.25
O  0.2334  0.7273  0.2699  4 Hf 2.14-2.24
O  0.7735  0.2343  0.2240  4 Hf 2.12-2.28
O  0.0173  0.7451  0.9706  4 Hf 2.12-2.29
O  0.9588  0.9669  0.2224  4 Hf 2.11-2.27
O  0.4873  0.4522  0.7264  4 Hf 2.11-2.24
O  0.2703  0.2250  0.2669  4 Hf 2.11-2.27
N  0.5083  0.5425  0.2720  4 Hf 2.08-2.19
N  0.0466  0.0322  0.7696  4 Hf 2.09-2.16
N  0.2633  0.5371  0.4844  4 Hf 2.09-2.26
N  0.2235  0.4888  0.9527  4 Hf 2.10-2.21
N  0.9888  0.2615  0.0373  4 Hf 2.08-2.20
N  0.5499  0.7749  0.0126  4 Hf 2.05-2.24
N  0.7282  0.9498  0.4634  4 Hf 2.11-2.21
N  0.2744  0.0440  0.5315  4 Hf 2.08-2.22
N  0.7252  0.7707  0.7416  4 Hf 2.09-2.22
N  0.7580  0.2698  0.7278  4 Hf 2.08-2.24
N  0.4625  0.0124  0.2376  4 Hf 2.06-2.23
N  0.4574  0.2250  0.9891  4 Hf 2.13-2.17
N  0.2277  0.7643  0.7729  4 Hf 2.12-2.15
N  0.7762  0.5199  0.0498  4 Hf 2.11-2.26
N  0.0333  0.2703  0.5411  4 Hf 2.08-2.17
N  0.7419  0.4674  0.5094  4 Hf 2.12-2.21

Output
Symmetry: P1, No. 1
Total magnetization in μB/f.u.: 0.00
Calculated formation energy in eV per atom: -2.5687

---

2.
Crystalline Hf2N2O at its relaxed geometry, computed with r²SCAN.

abc: 8.6474 8.6701 8.6890
angles: 109.52 109.43 109.32
Last column: nearest neighbours and their distance in Å.
Positions (direct):
O  0.2343  0.2722  0.7257  4 Hf 2.10-2.27
O  0.4814  0.7265  0.4502  4 Hf 2.10-2.29
O  0.0501  0.7745  0.0376  4 Hf 2.14-2.23
O  0.0376  0.5477  0.2721  4 Hf 2.15-2.26
O  0.2291  0.7764  0.7676  4 Hf 2.16-2.24
O  0.5322  0.7638  0.9894  4 Hf 2.16-2.24
O  0.4473  0.9808  0.2174  4 Hf 2.15-2.33
O  0.0200  0.9670  0.7402  4 Hf 2.11-2.28
Hf  0.7229  0.2557  0.4704  5 N 2.10-2.24, 1 O 2.33
Hf  0.9958  0.4889  0.9915  4 N 2.09-2.18, 2 O 2.19-2.23
Hf  0.7436  0.4622  0.2092  5 N 2.12-2.21, 1 O 2.21
Hf  0.9891  0.9907  0.4837  4 N 2.08-2.17, 2 O 2.24-2.25
........

Item 433

Item 433

First Year - FY2017Second Year - FY2018
Information Technology Planning and Quality Control (82800)$4,047,041
Information Technology Investment Management (ITIM) Oversight Services (82801)FY2017 $1,653,483FY2018 $1,653,567
Enterprise Development Services (82803)FY2017 $2,393,558
FY2018 $1,488,622
Fund Sources:  
GeneralFY2017 $2,033,955
FY2018 $2,034,039
Internal ServiceFY2017 $0FY2018 $2,034,039
Dedicated Special RevenueFY2017 $2,013,086FY2018 $1,108,150

Attached: data records
+++
Record 1
InHgTe2 | PBE | optimized geometry

a = 4.9046 Å, b = 4.9046 Å, c = 23.0382 Å
α = 90.00°, β = 90.00°, γ = 120.00°
Space group R3m (No. 160, hexagonal axes)
Symmetry-distinct sites (fractional):
In1 0.0000 0.0000 0.0000 (multiplicity 3)
Hg1 0.0000 0.0000 0.4952 (multiplicity 3)
Te1 0.0000 0.0000 0.1278 (multiplicity 3)
Te2 0.0000 0.0000 0.6257 (multiplicity 3)

Properties
Final energy = -2.49 eV per atom
Total energy after the MP2020 corrections = -2.698 eV/atom
Magnetic moment = 0.00 μB/cell
V = 160.0 Å³/f.u.
Mass density = 5.9 g cm⁻³
Crystal system = trigonal

Record 2
In2HgTe4 | PBE | optimized geometry

a = 6.4135 Å, b = 6.4135 Å, c = 12.7179 Å
α = 90.00°, β = 90.00°, γ = 90.00°
Space group I-4 (No. 82)
Symmetry-distinct sites (fractional):
In1 0.0000 0.0000 0.0000 (multiplicity 2)
In2 0.0000 0.5000 0.2500 (multiplicity 2)
Hg1 0.0000 0.0000 0.5000 (multiplicity 2)
Te1 0.2244 0.7302 0.8626 (multiplicity 8)

Properties
Final energy = -2.92 eV per atom
Total energy after the MP2020 corrections = -3.162 eV/atom
V = 261.6 Å³/f.u.
Piezoelectric modulus e_max = 0.154 C/m²
Mass density = 6.0 g cm⁻³
Energy above the most stable polymorph in this dataset = 0.000 eV/atom
Crystal system = tetragonal

Record 3
In2HgTe4 | PBE | optimized geometry

a = 6.1672 Å, b = 6.1672 Å, c = 11.9650 Å
α = 90.00°, β = 90.00°, γ = 90.00°
Space group I-4m2 (No. 119)
Symmetry-distinct sites (fractional):
In1 0.0000 0.0000 0.0000 (multiplicity 2)
In2 0.0000 0.5000 0.2500 (multiplicity 2)
Hg1 0.0000 0.5000 0.7500 (multiplicity 2)
Te1 0.0000 0.0000 0.2442 (multiplicity 4)
Te2 0.0000 0.5000 0.0085 (multiplicity 4)

Properties
Final energy = -2.71 eV per atom
Total energy after the MP2020 corrections = -2.949 eV/atom
Magnetic moment = 0.02 μB/cell
V = 227.5 Å³/f.u.
Mass density = 6.9 g cm⁻³
Energy above the most stable polymorph in this dataset = 0.213 eV/atom
Crystal system = tetragonal

Record 4
Tm2InHg | PBE | optimized geometry

a = 7.4166 Å, b = 7.4166 Å, c = 7.4166 Å
α = 90.00°, β = 90.00°, γ = 90.00°
Space group Fm-3m (No. 225)
Symmetry-distinct sites (fractional):
Tm1 0.2500 0.2500 0.2500 (multiplicity 8)
In1 0.0000 0.0000 0.0000 (multiplicity 4)
Hg1 0.0000 0.0000 0.5000 (multiplicity 4)

Properties
Final energy = -3.44 eV per atom
V = 102.0 Å³/f.u.
Mass density = 10.6 g cm⁻³
Crystal system = cubic

Record 5
Hg3Ir | PBE | optimized geometry

a = 4.1531 Å, b = 4.1531 Å, c = 9.1958 Å
α = 90.00°, β = 90.00°, γ = 90.00°
Space group I4/mmm (No. 139)
Symmetry-distinct sites (fractional):
Hg1 0.0000 0.0000 0.0000 (multiplicity 2)
Hg2 0.0000 0.5000 0.2500 (multiplicity 4)
Ir1 0.0000 0.0000 0.5000 (multiplicity 2)

Properties
Final energy = -1.98 eV per atom
Magnetic moment = 0.00 μB/cell
V = 79.3 Å³/f.u.
Mass density = 16.6 g cm⁻³
Crystal system = tetragonal

Record 6
KHg | PBE | optimized geometry

a = 6.7297 Å, b = 7.1147 Å, c = 7.2429 Å
α = 108.65°, β = 101.91°, γ = 90.36°
Space group P-1 (No. 2)
Symmetry-distinct sites (fractional):
+++

Authority: Title 2.2, Chapter 20.1, Code of Virginia.

A.1. Notwithstanding the provisions of §§ 2.2-1509, 2.2-2007 and 2.2-2017, Code of Virginia, the scope of formal reporting on major information technology projects in the Recommended Technology Investment Projects (RTIP) report is reduced. The efforts involved in researching, analyzing, reviewing, and preparing the report will be streamlined and project ranking will be discontinued. Project analysis will be targeted as determined by the Chief Information Officer (CIO) and the Secretary of Technology. Information on major information technology investments will continue to be provided General Assembly members and staff. Specifically, the following tasks will not be required, though the task may be performed in a more streamlined fashion: (i) The annual report to the Governor, the Secretary, and the Joint Commission on Technology and Science; (ii) The annual report from the CIO for submission to the Secretary, the Information Technology Advisory Council, and the Joint Commission on Technology and Science on a prioritized list of Recommended Technology Investment Projects (RTIP Report); (iii) The development by the CIO and regular update of a methodology for prioritizing projects based upon the allocation of points to defined criteria and the inclusion of this information in the RTIP Report; (iv) The indication by the CIO of the number of points and how they were awarded for each project recommended for funding in the RTIP Report; (vi) The reporting, for each project listed in the RTIP, of all projected costs of ongoing operations and maintenance activities of the project for the next three biennia following project implementation, a justification and description for each project baseline change, and whether the project fails to incorporate existing standards for the maintenance, exchange, and security of data; and (vii) The reporting of trends in current projected information technology spending by state agencies and secretariats, including spending on projects, operations and maintenance, and payments to Virginia Information Technologies Agency.

2. Notwithstanding any other provision of law and effective July 1, 2015, the Virginia Information Technologies Agency (VITA) shall maintain and update quarterly a list of major information technology projects that are active or are expected to become active in the next fiscal year and have been approved and recommended for funding by the Secretary of Technology. Such list shall serve as the official repository for all ongoing information technology projects in the Commonwealth and shall include all information required by § 2.2-1509.3 (B)(1)-(8), Code of Virginia. VITA shall make such list publically available on its website, updated on a quarterly basis, and shall submit electronically such quarterly update to the Chairmen of the House Appropriations and Senate Finance Committees and the Director, Department of Planning and Budget, in a format mutually agreeable to them. To ensure such list can be maintained and updated quarterly, state agencies with major information technology projects that are active or are expected to become active in the next fiscal year shall provide in a timely manner all data and other information requested by VITA.

(Crystal structures that have nothing to do with the text)
- - -
Arrangement P

# SiC PBE-GGA optimized geometry
# - Magnetization: 0.00 μB/f.u.
data_SiC
_cell_length_a 3.0981
_cell_length_b 3.0981
_cell_length_c 83.3340
_cell_angle_alpha 90.00
_cell_angle_beta 90.00
_cell_angle_gamma 120.00
_symmetry_space_group_name_H-M 'R 3 m'
_symmetry_Int_Tables_number 160
_symmetry_space_group_name_Hall 'R 3 -2"'
loop_
_atom_site_label
_atom_site_type_symbol
_atom_site_fract_x
_atom_site_fract_y
_atom_site_fract_z
Si1 Si 0.0000 0.0000 0.0000
Si2 Si 0.0000 0.0000 0.0606
Si3 Si 0.0000 0.0000 0.1212
Si4 Si 0.0000 0.0000 0.2424
Si5 Si 0.0000 0.0000 0.3031
Si6 Si 0.0000 0.0000 0.4243
Si7 Si 0.0000 0.0000 0.5152
Si8 Si 0.0000 0.0000 0.6061
Si9 Si 0.0000 0.0000 0.6970
Si10 Si 0.0000 0.0000 0.8182
Si11 Si 0.0000 0.0000 0.8788
C1 C 0.0000 0.0000 0.0228
C2 C 0.0000 0.0000 0.0834
C3 C 0.0000 0.0000 0.1440
C4 C 0.0000 0.0000 0.2652
C5 C 0.0000 0.0000 0.3258
C6 C 0.0000 0.0000 0.4471
C7 C 0.0000 0.0000 0.5380
C8 C 0.0000 0.0000 0.6289
C9 C 0.0000 0.0000 0.7198
C10 C 0.0000 0.0000 0.8410
C11 C 0.0000 0.0000 0.9016

=====

Arrangement Q

# SiC PBE-GGA optimized geometry
# - Magnetization: 0.00 μB/f.u.
data_SiC
_cell_length_a 4.0502
_cell_length_b 4.0502
_cell_length_c 4.0502
_cell_angle_alpha 90.00
_cell_angle_beta 90.00
_cell_angle_gamma 90.00
_symmetry_space_group_name_H-M 'F m -3 m'
_symmetry_Int_Tables_number 225
_symmetry_space_group_name_Hall '-F 4 2 3'
loop_
_atom_site_label
_atom_site_type_symbol
_atom_site_fract_x
_atom_site_fract_y
_atom_site_fract_z
Si1 Si 0.0000 0.0000 0.0000
C1 C 0.0000 0.0000 0.5000

=====

Arrangement R

SiC: optimized geometry, PBE-GGA.

CIF file:
```
data_SiC
_cell_length_a 3.0940
_cell_length_b 3.0940
_cell_length_c 45.5545
_cell_angle_alpha 90.00
_cell_angle_beta 90.00
_cell_angle_gamma 120.00
_symmetry_space_group_name_H-M 'P 3 m 1'
_symmetry_Int_Tables_number 156
loop_
_symmetry_equiv_pos_as_xyz
'x,y,z'
'-y,x-y,z'
'-x+y,-x,z'
'-y,-x,z'
'-x+y,y,z'
'x,x-y,z'
loop_
_atom_site_label
_atom_site_type_symbol
_atom_site_fract_x
_atom_site_fract_y
_atom_site_fract_z
Si1 Si 0.0000 0.0000 0.0000
Si2 Si 0.0000 0.0000 0.1111
Si3 Si 0.0000 0.0000 0.2223
Si4 Si 0.0000 0.0000 0.3334
Si5 Si 0.0000 0.0000 0.4445
Si6 Si 0.0000 0.0000 0.5556
Si7 Si 0.0000 0.0000 0.6667
Si8 Si 0.0000 0.0000 0.7778
Si9 Si 0.3333 0.6667 0.1667
Si10 Si 0.3333 0.6667 0.3889
Si11 Si 0.3333 0.6667 0.6112
Si12 Si 0.3333 0.6667 0.8333
Si13 Si 0.3333 0.6667 0.9445
Si14 Si 0.6667 0.3333 0.0556
Si15 Si 0.6667 0.3333 0.2778
Si16 Si 0.6667 0.3333 0.5000
Si17 Si 0.6667 0.3333 0.7223
Si18 Si 0.6667 0.3333 0.8889
C1 C 0.0000 0.0000 0.0417
C2 C 0.0000 0.0000 0.1528
C3 C 0.0000 0.0000 0.2639
C4 C 0.0000 0.0000 0.3750
C5 C 0.0000 0.0000 0.4861
C6 C 0.0000 0.0000 0.5972
C7 C 0.0000 0.0000 0.7083
C8 C 0.0000 0.0000 0.8195
C9 C 0.3333 0.6667 0.2085
C10 C 0.3333 0.6667 0.4307
C11 C 0.3333 0.6667 0.6529
C12 C 0.3333 0.6667 0.8750
C13 C 0.3333 0.6667 0.9862
C14 C 0.6667 0.3333 0.0974
C15 C 0.6667 0.3333 0.3196
C16 C 0.6667 0.3333 0.5418
- - -

3. The Health Care Reform program office has been established by the Secretary of Health and Human Resources to address the American Recovery and Reinvestment Act (ARRA), the Patient Protection and Patient Affordability Act (PPACA), and the Medicaid Information Technology Architecture (MITA). This program will be generating approximately 23 major as well as non-major projects and the total cost of the program over seven years is expected to be $93,043,146 with a cost to the Commonwealth of $9,773,220. Projects will be established over the next four years. The seven year costs include six years of operational expenses associated with the provider incentive program that sunsets in 2021. New recurring Medicaid expenses are also reflected in the seven year cost estimates. The projects and cost estimates in this paragraph include efforts to modernize eligibility determination systems within the Department of Social Services.

B. Out of this appropriation, $2,267,388 the first year from the general fund shall be used to pay the outstanding balance of the working capital advance previously provided to the Virginia Enterprise Applications Program for the development of enterprise applications for the Commonwealth.